Now search the notes further down for the word "with" and echo each line that has it.
- - -
Computed, not measured: 2 unconnected molecules or ions with the total composition C3H8NO, with ωB97M-V/def2-TZVPD.

Each line ends with the Löwdin charge.
Element x y z (Å)
O: 0.573 1.072 0.733  -0.08
N: 1.255 -1.542 -0.422  0.21
C: -1.740 0.791 0.461  0.03
C: -0.720 1.615 0.530  -0.21
C: 0.445 -1.819 -1.355  0.17
H: -2.791 1.034 0.413  0.07
H: 1.002 -1.286 0.531  0.14
H: 0.842 1.379 1.590  0.09
H: 0.832 -1.962 -2.353  0.13
H: -1.570 -0.266 0.641  0.05
H: -0.607 -2.006 -1.179  0.12
H: 2.217 -1.347 -0.677  0.16
H: -0.620 2.689 0.430  0.12

Summary:
- LUMO: -0.202 Ha
- Total charge: +1
- Largest force on an atom: 1.2 eV/Å
- Multiplicity: 1
- E: -6769.635 eV
- Kohn-Sham gap: 8.063 eV
- Energy relative to the best compared isomer or geometry (same formula, charge and spin): 1.534 eV


{
  "formula": "C30H80O10",
  "method": "ωB97M-V/def2-TZVPD",
  "gap_ev": 10.0,
  "relative_energy_kcal_mol": 21.8,
  "smiles": "CC(C)O.CC(C)O.CC(C)O.CC(C)O.CC(C)O.CC(C)O.CC(C)O.CC(C)O.CC(C)O.CC(C)O",
  "charge": 0,
  "species": ["C", "C", "C", "O", "H", "H", "H", "H", "H", "H", "H", "H", "C", "C", "C", "O", "H", "H", "H", "H", "H", "H", "H", "H", "C", "C", "C", "O", "H", "H", "H", "H", "H", "H", "H", "H", "C", "C", "C", "O", "H", "H", "H", "H", "H", "H", "H", "H", "C", "C", "C", "O", "H", "H", "H", "H", "H", "H", "H", "H", "C", "C", "C", "O", "H", "H", "H", "H", "H", "H", "H", "H", "C", "C", "C", "O", "H", "H", "H", "H", "H", "H", "H", "H", "C", "C", "C", "O", "H", "H", "H", "H", "H", "H", "H", "H", "C", "C", "C", "O", "H", "H", "H", "H", "H", "H", "H", "H", "C", "C", "C", "O", "H", "H", "H", "H", "H", "H", "H", "H"],
- - -
Computed, not measured: 2 unconnected molecules or ions with the total composition C3H8NO, with ωB97M-V/def2-TZVPD.
Each line ends with the Löwdin charge.